Bookkeeper: 4 Tips for Finding a Great One

Journal booksBookkeepers are a bit of a hidden gem. While they may not make the best company picnic speakers, bookkeepers are vital to any business. So when you’re looking for someone to help you with your books, how do you go about finding one? This blog post aims to help you make the right choice.


Finding a Great Bookkeeper for Your Business


Finding a bookkeeper can be a huge help, but it’s not always easy. Here are some tips to help you find the right and good bookkeeper for your business:

=====
# 1
The following is a PBE calculation of a relaxed structure of Sr2LaNbO6, from the Materials Project database.

Structure (CIF):
```
data_Sr2LaNbO6
_chemical_formula_sum 'Sr8 La4 Nb4 O24'
_space_group_name_H-M_alt 'F m -3 m'
_space_group_IT_number 225
_space_group_name_Hall '-F 4 2 3'
_cell_length_a 8.687
_cell_length_b 8.687
_cell_length_c 8.687
_cell_angle_alpha 90.00
_cell_angle_beta 90.00
_cell_angle_gamma 90.00
loop_
_atom_site_label
_atom_site_type_symbol
_atom_site_fract_x
_atom_site_fract_y
_atom_site_fract_z
Sr1 Sr 0.250 0.250 0.250
La1 La 0.000 0.000 0.000
Nb1 Nb 0.000 0.000 0.500
O1 O 0.000 0.000 0.269
```

***

# 2
The following is a PBE calculation of a relaxed structure of Sr2LaNbO6, from the Materials Project database.

Structure (CIF):
```
data_Sr2LaNbO6
_chemical_formula_sum 'Sr8 La4 Nb4 O24'
_space_group_name_H-M_alt 'P n -3'
_space_group_IT_number 201
_cell_length_a 8.568
_cell_length_b 8.568
_cell_length_c 8.568
_cell_angle_alpha 90.00
_cell_angle_beta 90.00
_cell_angle_gamma 90.00
loop_
_space_group_symop_operation_xyz
'x,y,z'
'-x,-y,-z'
'-x+1/2,-y+1/2,z'
'x+1/2,y+1/2,-z'
'x,-y+1/2,-z+1/2'
'-x,y+1/2,z+1/2'
'-x+1/2,y,-z+1/2'
'x+1/2,-y,z+1/2'
'z,x,y'
'-z,-x,-y'
'z,-x+1/2,-y+1/2'
'-z,x+1/2,y+1/2'
'-z+1/2,x,-y+1/2'
'z+1/2,-x,y+1/2'
'-z+1/2,-x+1/2,y'
'z+1/2,x+1/2,-y'
'y,z,x'
'-y,-z,-x'
'-y+1/2,z,-x+1/2'
'y+1/2,-z,x+1/2'
'-y+1/2,-z+1/2,x'
'y+1/2,z+1/2,-x'
'y,-z+1/2,-x+1/2'
'-y,z+1/2,x+1/2'
loop_
_atom_site_label
_atom_site_type_symbol
_atom_site_fract_x
_atom_site_fract_y
_atom_site_fract_z
Sr1 Sr 0.250 0.250 0.250
Sr2 Sr 0.250 0.250 0.750
La1 La 0.000 0.000 0.000
Nb1 Nb 0.000 0.000 0.500
O1 O 0.038 0.548 0.771
```

***

# 3
The following is a PBE calculation of a relaxed structure of Sr2LaTi2Nb3O15, from the Materials Project database.

Structure (CIF):
```
data_Sr2LaTi2Nb3O15
_chemical_formula_sum 'Sr4 La2 Ti4 Nb6 O30'
_space_group_name_H-M_alt 'P b a m'
_space_group_IT_number 55
_space_group_name_Hall '-P 2 2ab'
_cell_length_a 12.440
_cell_length_b 12.531
_cell_length_c 3.960
_cell_angle_alpha 90.00
_cell_angle_beta 90.00
_cell_angle_gamma 90.00
loop_
_atom_site_label
_atom_site_type_symbol
_atom_site_fract_x
_atom_site_fract_y
_atom_site_fract_z
Sr1 Sr 0.170 0.168 0.000
La1 La 0.000 0.500 0.000
Ti1 Ti 0.211 0.421 0.500
Nb1 Nb 0.000 0.000 0.500
Nb2 Nb 0.080 0.711 0.500
O1 O 0.000 0.000 0.000
O2 O 0.013 0.160 0.500
O3 O 0.062 0.369 0.500
O4 O 0.080 0.700 0.000
O5 O 0.134 0.563 0.500
O6 O 0.160 0.007 0.500
O7 O 0.197 0.422 0.000
O8 O 0.228 0.773 0.500
```

***

# 4
The following is a PBE calculation of a relaxed structure of LaNbTeO6, from the Materials Project database.

Structure (CIF):
```
data_LaNbTeO6
_chemical_formula_sum 'La4 Nb4 Te4 O24'
_space_group_name_H-M_alt 'P -1'
_space_group_IT_number 2
_space_group_name_Hall '-P 1'
_cell_length_a 6.864
_cell_length_b 7.502
_cell_length_c 10.900
_cell_angle_alpha 79.71
_cell_angle_beta 77.02
_cell_angle_gamma 89.78
loop_
_atom_site_label
_atom_site_type_symbol
_atom_site_fract_x
=====
-- End of the crystal structures --


Ask around.


You probably know at least one other business owner in your community who has had a positive experience with their bookkeeper. Ask them if they’d be willing to recommend someone who has done an excellent job of accurately keeping track of their financials and reporting expenses. If you know another entrepreneur who has struggled with their bookkeeping service, ask them about their experience, so you know how to avoid them.


Check their credentials.


Bookkeeping is not regulated by law, so there are no official certifications or licenses that guarantee that an individual knows how to do this work well. That’s why it’s essential to check any candidate’s credentials (or lack thereof) for this position before hiring them. So, for example, suppose they don’t have any formal education or professional training on record. In that case, whether through a college degree program or online coursework—it might be best not to hire them because they may not be able to handle the responsibilities this position requires effectively and efficiently without proper training first.


Consider the bookkeeper’s experience level.


You might think that all bookkeepers can do everything, but the truth is that different types of businesses require various services. For example, if you own and manage an auto repair company, you’ll need a bookkeeper with experience with inventory management and tax forms. Another example is a bookkeeper who works with restaurants should know how to handle inventory tracking and sales tax forms.


You want someone with experience working with companies like yours—that way, they know what they’re doing when it comes time to start managing your finances! If they don’t have much experience, it might be best to look elsewhere; you don’t want someone who doesn’t know how they handle your finances.


Talk about fees and services.


You and your bookkeeper must have an open and honest conversation about fees and services before hiring him or her. It ensures both parties set the proper expectations so there are no surprises later on down the road. You must also consider cost and quality. A high price tag doesn’t necessarily mean that someone is better than someone else; however, it does indicate that they charge more because they are more qualified or experienced than others.

Bookkeeper is planning budget



Taking care of your financial paperwork can be challenging under the best conditions. And when life gets in the way, that task becomes even more complicated. If you don’t have a dedicated bookkeeper, it’s time to find one.